**Listing:**
____________
Starting from a GGA-PBE-relaxed structure, the X-ray diffraction stick pattern of PrTm3S6 was simulated for Cu Kα (weighted mean of Kα1 and Kα2).
Kinematic intensities with the Lorentz-polarization factor, no thermal factor.

```
data_PrTm3S6
_chemical_formula_sum 'Pr2 Tm6 S12'
_space_group_name_H-M_alt 'P 1 21/m 1'
_space_group_IT_number 11
_space_group_name_Hall '-P 2yb'
_cell_length_a 11.0447
_cell_length_b 3.9660
_cell_length_c 11.2635
_cell_angle_alpha 90.00
_cell_angle_beta 108.91
_cell_angle_gamma 90.00
loop_
_atom_site_label
_atom_site_type_symbol
_atom_site_fract_x
_atom_site_fract_y
_atom_site_fract_z
_atom_site_occupancy
Pr1 Pr 0.0496 0.2500 0.1953 1
Tm1 Tm 0.1611 0.2500 0.5867 1
Tm2 Tm 0.3202 0.7500 0.9988 1
Tm3 Tm 0.4409 0.2500 0.3332 1
S1 S 0.0813 0.7500 0.4069 1
S2 S 0.1201 0.2500 0.9639 1
S3 S 0.1963 0.7500 0.7485 1
S4 S 0.2666 0.7500 0.2287 1
S5 S 0.3946 0.2500 0.5593 1
S6 S 0.4777 0.2500 0.1120 1
```

The 6 most intense peaks (2θ = 5–70°), by angle:
d [Å]  2θ (°)  intensity
3.754  23.70  77
3.682  24.17  100
3.383  26.34  67
2.879  31.07  69
2.617  34.27  51
2.134  42.36  74

=====

1.
Ac5Pr2NdTm: computed X-ray powder pattern (Cu Ka), based on the PBE geometry in Alexandria.

```
data_Ac5Pr2NdTm
_chemical_formula_sum 'Ac10 Pr4 Nd2 Tm2'
_cell_length_a 11.969
_cell_length_b 11.969
_cell_length_c 11.969
_cell_angle_alpha 138.50
_cell_angle_beta 138.50
_cell_angle_gamma 60.14
_symmetry_space_group_name_H-M 'P 1'
_symmetry_Int_Tables_number 1
loop_
_symmetry_equiv_pos_as_xyz
'x,y,z'
loop_
_atom_site_label
_atom_site_type_symbol
_atom_site_fract_x
_atom_site_fract_y
_atom_site_fract_z
Ac1 Ac 0.000 0.000 0.000
Ac2 Ac 0.088 0.588 0.951
Ac3 Ac 0.137 0.088 0.500
Ac4 Ac 0.363 0.863 0.951
Ac5 Ac 0.412 0.363 0.500
Ac6 Ac 0.500 0.500 0.000
Ac7 Ac 0.588 0.637 0.500
Ac8 Ac 0.637 0.137 0.049
Ac9 Ac 0.863 0.912 0.500
Ac10 Ac 0.912 0.412 0.049
Pr1 Pr 0.123 0.377 0.500
Pr2 Pr 0.377 0.877 0.255
Pr3 Pr 0.623 0.123 0.745
Pr4 Pr 0.877 0.623 0.500
Nd1 Nd 0.250 0.250 0.000
Nd2 Nd 0.750 0.750 0.000
Tm1 Tm 0.250 0.750 0.500
Tm2 Tm 0.750 0.250 0.500
```

Most intense lines, 10 to 80 degrees two-theta, sorted by position:
26.8°, intensity 20.8; 27.2°, intensity 100.0; 29.8°, intensity 39.8; 33.4°, intensity 12.6; 34.6°, intensity 27.2; 42.7°, intensity 13.7; 46.3°, intensity 21.3; 51.3°, intensity 27.8; 56.0°, intensity 7.9; 72.9°, intensity 7.4



2.
Pr3Dy8Ho: computed X-ray powder pattern (Cu Ka), based on the PBE geometry in Alexandria.

```
data_Pr3Dy8Ho
_chemical_formula_sum 'Pr3 Dy8 Ho1'
_cell_length_a 8.410
_cell_length_b 8.410
_cell_length_c 8.410
_cell_angle_alpha 117.12
_cell_angle_beta 117.12
_cell_angle_gamma 95.06
_symmetry_space_group_name_H-M 'P 1'
_symmetry_Int_Tables_number 1
loop_
_symmetry_equiv_pos_as_xyz
'x,y,z'
loop_
_atom_site_label
_atom_site_type_symbol
_atom_site_fract_x
_atom_site_fract_y
_atom_site_fract_z
Pr1 Pr 0.000 0.000 0.000
Pr2 Pr 0.250 0.750 0.500
Pr3 Pr 0.750 0.250 0.500
Dy1 Dy 0.130 0.380 0.000
Dy2 Dy 0.245 0.245 0.511
Dy3 Dy 0.267 0.755 0.000
Dy4 Dy 0.380 0.130 0.000
Dy5 Dy 0.620 0.620 0.749
Dy6 Dy 0.733 0.733 0.489
Dy7 Dy 0.755 0.267 0.000
Dy8 Dy 0.870 0.870 0.251
Ho1 Ho 0.500 0.500 0.000
```

Most intense lines, 10 to 80 degrees two-theta, sorted by position:
14.3°, intensity 32.7; 24.0°, intensity 69.3; 25.7°, intensity 53.9; 28.8°, intensity 81.5; 31.5°, intensity 73.0; 32.9°, intensity 65.3; 36.0°, intensity 100.0; 43.2°, intensity 52.6; 44.3°, intensity 69.7; 69.0°, intensity 35.8



3.
V4NiRu: computed X-ray powder pattern (Cu Ka), based on the PBE geometry in Alexandria.

```
data_V4NiRu
_chemical_formula_sum 'V4 Ni1 Ru1'
_cell_length_a 4.300
_cell_length_b 4.300
_cell_length_c 5.745
_cell_angle_alpha 111.37
_cell_angle_beta 111.37
_cell_angle_gamma 60.07
_symmetry_space_group_name_H-M 'P 1'
_symmetry_Int_Tables_number 1
____________

**Wanted:**
Duplicate everything further above character by character.

**Here it is:**
Starting from a GGA-PBE-relaxed structure, the X-ray diffraction stick pattern of PrTm3S6 was simulated for Cu Kα (weighted mean of Kα1 and Kα2).
Kinematic intensities with the Lorentz-polarization factor, no thermal factor.

```
data_PrTm3S6
_chemical_formula_sum 'Pr2 Tm6 S12'
_space_group_name_H-M_alt 'P 1 21/m 1'
_space_group_IT_number 11
_space_group_name_Hall '-P 2yb'
_cell_length_a 11.0447
_cell_length_b 3.9660
_cell_length_c 11.2635
_cell_angle_alpha 90.00
_cell_angle_beta 108.91
_cell_angle_gamma 90.00
loop_
_atom_site_label
_atom_site_type_symbol
_atom_site_fract_x
_atom_site_fract_y
_atom_site_fract_z
_atom_site_occupancy
Pr1 Pr 0.0496 0.2500 0.1953 1
Tm1 Tm 0.1611 0.2500 0.5867 1
Tm2 Tm 0.3202 0.7500 0.9988 1
Tm3 Tm 0.4409 0.2500 0.3332 1
S1 S 0.0813 0.7500 0.4069 1
S2 S 0.1201 0.2500 0.9639 1
S3 S 0.1963 0.7500 0.7485 1
S4 S 0.2666 0.7500 0.2287 1
S5 S 0.3946 0.2500 0.5593 1
S6 S 0.4777 0.2500 0.1120 1
```

The 6 most intense peaks (2θ = 5–70°), by angle:
d [Å]  2θ (°)  intensity
3.754  23.70  77
3.682  24.17  100
3.383  26.34  67
2.879  31.07  69
2.617  34.27  51
2.134  42.36  74

=====

1.
Ac5Pr2NdTm: computed X-ray powder pattern (Cu Ka), based on the PBE geometry in Alexandria.

```
data_Ac5Pr2NdTm
_chemical_formula_sum 'Ac10 Pr4 Nd2 Tm2'
_cell_length_a 11.969
_cell_length_b 11.969
_cell_length_c 11.969
_cell_angle_alpha 138.50
_cell_angle_beta 138.50
_cell_angle_gamma 60.14
_symmetry_space_group_name_H-M 'P 1'
_symmetry_Int_Tables_number 1
loop_
_symmetry_equiv_pos_as_xyz
'x,y,z'
loop_
_atom_site_label
_atom_site_type_symbol
_atom_site_fract_x
_atom_site_fract_y
_atom_site_fract_z
Ac1 Ac 0.000 0.000 0.000
Ac2 Ac 0.088 0.588 0.951
Ac3 Ac 0.137 0.088 0.500
Ac4 Ac 0.363 0.863 0.951
Ac5 Ac 0.412 0.363 0.500
Ac6 Ac 0.500 0.500 0.000
Ac7 Ac 0.588 0.637 0.500
Ac8 Ac 0.637 0.137 0.049
Ac9 Ac 0.863 0.912 0.500
Ac10 Ac 0.912 0.412 0.049
Pr1 Pr 0.123 0.377 0.500
Pr2 Pr 0.377 0.877 0.255
Pr3 Pr 0.623 0.123 0.745
Pr4 Pr 0.877 0.623 0.500
Nd1 Nd 0.250 0.250 0.000
Nd2 Nd 0.750 0.750 0.000
Tm1 Tm 0.250 0.750 0.500
Tm2 Tm 0.750 0.250 0.500
```

Most intense lines, 10 to 80 degrees two-theta, sorted by position:
26.8°, intensity 20.8; 27.2°, intensity 100.0; 29.8°, intensity 39.8; 33.4°, intensity 12.6; 34.6°, intensity 27.2; 42.7°, intensity 13.7; 46.3°, intensity 21.3; 51.3°, intensity 27.8; 56.0°, intensity 7.9; 72.9°, intensity 7.4



2.
Pr3Dy8Ho: computed X-ray powder pattern (Cu Ka), based on the PBE geometry in Alexandria.

```
data_Pr3Dy8Ho
_chemical_formula_sum 'Pr3 Dy8 Ho1'
_cell_length_a 8.410
_cell_length_b 8.410
_cell_length_c 8.410
_cell_angle_alpha 117.12
_cell_angle_beta 117.12
_cell_angle_gamma 95.06
_symmetry_space_group_name_H-M 'P 1'
_symmetry_Int_Tables_number 1
loop_
_symmetry_equiv_pos_as_xyz
'x,y,z'
loop_
_atom_site_label
_atom_site_type_symbol
_atom_site_fract_x
_atom_site_fract_y
_atom_site_fract_z
Pr1 Pr 0.000 0.000 0.000
Pr2 Pr 0.250 0.750 0.500
Pr3 Pr 0.750 0.250 0.500
Dy1 Dy 0.130 0.380 0.000
Dy2 Dy 0.245 0.245 0.511
Dy3 Dy 0.267 0.755 0.000
Dy4 Dy 0.380 0.130 0.000
Dy5 Dy 0.620 0.620 0.749
Dy6 Dy 0.733 0.733 0.489
Dy7 Dy 0.755 0.267 0.000
Dy8 Dy 0.870 0.870 0.251
Ho1 Ho 0.500 0.500 0.000
```

Most intense lines, 10 to 80 degrees two-theta, sorted by position:
14.3°, intensity 32.7; 24.0°, intensity 69.3; 25.7°, intensity 53.9; 28.8°, intensity 81.5; 31.5°, intensity 73.0; 32.9°, intensity 65.3; 36.0°, intensity 100.0; 43.2°, intensity 52.6; 44.3°, intensity 69.7; 69.0°, intensity 35.8



3.
V4NiRu: computed X-ray powder pattern (Cu Ka), based on the PBE geometry in Alexandria.

```
data_V4NiRu
_chemical_formula_sum 'V4 Ni1 Ru1'
_cell_length_a 4.300
_cell_length_b 4.300
_cell_length_c 5.745
_cell_angle_alpha 111.37
_cell_angle_beta 111.37
_cell_angle_gamma 60.07
_symmetry_space_group_name_H-M 'P 1'
_symmetry_Int_Tables_number 1